Copy everything further below without altering anything.
-- begin --
# 1
This record from the Materials Project describes an optimized crystal structure of Na6MgCo2O6. The functional is GGA+U.

Output
**V**: 216.60 Å³ per cell
**Calculated formation energy**: -1.563 eV/atom
**M_tot**: 6.00 μB/f.u.

Lattice parameters (Å, degrees): 6.582 6.582 5.059 92.50 92.50 81.85
Fractional positions:
Na (0.111, 0.111, 0.322)
Na (0.171, 0.525, 0.354)
Na (0.475, 0.829, 0.646)
Na (0.659, 0.115, 0.216)
Na (0.885, 0.341, 0.784)
Na (0.889, 0.889, 0.678)
Mg (0.210, 0.790, 0.000)
Co (0.359, 0.265, 0.780)
Co (0.735, 0.641, 0.220)
O (0.177, 0.046, 0.791)
O (0.217, 0.526, 0.801)
O (0.474, 0.783, 0.199)
O (0.613, 0.134, 0.721)
O (0.866, 0.387, 0.279)
O (0.954, 0.823, 0.209)



# 2
This record from the Materials Project describes an optimized crystal structure of NaMgCoO2. The functional is GGA+U.

Output
**V**: 67.59 Å³ per cell
**Calculated formation energy**: -1.528 eV/atom
**M_tot**: 2.02 μB/f.u.

Lattice parameters (Å, degrees): 7.639 7.639 7.639 24.54 24.54 24.54
Fractional positions:
Na (0.000, 0.000, 0.000)
Mg (0.557, 0.557, 0.557)
Co (0.434, 0.434, 0.434)
O (0.256, 0.256, 0.256)
O (0.740, 0.740, 0.740)



# 3
This record from the Materials Project describes an optimized crystal structure of Na2MgCo2O4. The functional is GGA+U.

Output
**V**: 113.20 Å³ per cell
**Calculated formation energy**: -1.040 eV/atom
**M_tot**: 6.00 μB/f.u.

Lattice parameters (Å, degrees): 10.959 3.442 3.442 60.70 90.00 90.00
Fractional positions:
Na (0.000, 0.000, 0.000)
Na (0.500, 0.006, 0.006)
Mg (0.500, 0.343, 0.343)
Co (0.212, 0.664, 0.664)
Co (0.788, 0.664, 0.664)
O (0.153, 0.330, 0.330)
O (0.393, 0.670, 0.670)
O (0.607, 0.670, 0.670)
O (0.847, 0.330, 0.330)



# 4
This record from the Materials Project describes an optimized crystal structure of Na3MgCo2SbO6. The functional is GGA+U.

Output
**V**: 192.30 Å³ per cell
**Calculated formation energy**: -1.671 eV/atom
**M_tot**: 6.00 μB/f.u.

Lattice parameters (Å, degrees): 6.081 6.097 6.566 76.61 62.92 62.57
Fractional positions:
Na (0.000, 0.000, 0.000)
Na (0.315, 0.455, 0.880)
Na (0.683, 0.697, 0.888)
Mg (0.377, 0.614, 0.384)
Co (0.808, 0.097, 0.571)
Co (0.910, 0.568, 0.389)
Sb (0.372, 0.100, 0.456)
O (0.085, 0.813, 0.659)
O (0.197, 0.645, 0.191)
O (0.430, 0.057, 0.741)
O (0.625, 0.786, 0.272)
O (0.653, 0.249, 0.325)
O (0.753, 0.413, 0.660)



no.,relative energy among the computed polymorphs (eV/atom)
1,0.027
2,0.017
3,0.595
4,0.000

* * * * *

[1]
Computed, not measured: an optimized crystal structure of LiTiVO4 at the PBE+U level of DFT.

Lattice parameters (Å, degrees): 6.030 6.030 10.423 107.89 107.89 59.62
Fractional positions:
Li 0.061 0.061 0.189
Li 0.439 0.439 0.311
Li 0.561 0.561 0.689
Li 0.939 0.939 0.811
Ti 0.000 0.000 0.500
Ti 0.250 0.250 0.750
Ti 0.500 0.500 0.000
Ti 0.750 0.750 0.250
V 0.000 0.500 0.000
V 0.000 0.500 0.500
V 0.500 0.000 0.000
V 0.500 0.000 0.500
O 0.093 0.652 0.378
O 0.126 0.126 0.395
O 0.145 0.145 0.876
O 0.152 0.593 0.878
O 0.348 0.907 0.622
O 0.354 0.354 0.624
O 0.374 0.374 0.105
O 0.407 0.848 0.122
O 0.593 0.152 0.878
O 0.626 0.626 0.895
O 0.646 0.646 0.376
O 0.652 0.093 0.378
O 0.848 0.407 0.122
O 0.855 0.855 0.124
O 0.874 0.874 0.605
O 0.907 0.348 0.622

Properties
ΔE to the lowest computed polymorph = 0 meV/atom
magnetic moment = 0.00 μB per formula unit


[2]
Computed, not measured: an optimized crystal structure of Li2TiV3O8 at the PBE+U level of DFT.

Lattice parameters (Å, degrees): 8.356 8.351 8.359 90.00 90.04 90.00
Fractional positions:
Li 0.001 0.000 0.249
Li 0.246 0.748 0.997
Li 0.254 0.251 0.497
Li 0.499 0.999 0.749
Li 0.501 0.499 0.251
Li 0.746 0.751 0.503
Li 0.754 0.248 0.003
Li 0.999 0.500 0.751
Ti 0.129 0.370 0.121
Ti 0.371 0.629 0.621
Ti 0.629 0.129 0.379
Ti 0.871 0.870 0.879
V 0.118 0.625 0.371
V 0.120 0.881 0.624
V 0.125 0.120 0.867
V 0.374 0.879 0.367
V 0.380 0.118 0.124
V 0.382 0.374 0.871
V 0.618 0.874 0.129
V 0.620 0.618 0.876
V 0.626 0.379 0.633
V 0.875 0.620 0.133
V 0.880 0.381 0.376
V 0.882 0.125 0.629
-- stop --
# 1
This record from the Materials Project describes an optimized crystal structure of Na6MgCo2O6. The functional is GGA+U.

Output
**V**: 216.60 Å³ per cell
**Calculated formation energy**: -1.563 eV/atom
**M_tot**: 6.00 μB/f.u.

Lattice parameters (Å, degrees): 6.582 6.582 5.059 92.50 92.50 81.85
Fractional positions:
Na (0.111, 0.111, 0.322)
Na (0.171, 0.525, 0.354)
Na (0.475, 0.829, 0.646)
Na (0.659, 0.115, 0.216)
Na (0.885, 0.341, 0.784)
Na (0.889, 0.889, 0.678)
Mg (0.210, 0.790, 0.000)
Co (0.359, 0.265, 0.780)
Co (0.735, 0.641, 0.220)
O (0.177, 0.046, 0.791)
O (0.217, 0.526, 0.801)
O (0.474, 0.783, 0.199)
O (0.613, 0.134, 0.721)
O (0.866, 0.387, 0.279)
O (0.954, 0.823, 0.209)



# 2
This record from the Materials Project describes an optimized crystal structure of NaMgCoO2. The functional is GGA+U.

Output
**V**: 67.59 Å³ per cell
**Calculated formation energy**: -1.528 eV/atom
**M_tot**: 2.02 μB/f.u.

Lattice parameters (Å, degrees): 7.639 7.639 7.639 24.54 24.54 24.54
Fractional positions:
Na (0.000, 0.000, 0.000)
Mg (0.557, 0.557, 0.557)
Co (0.434, 0.434, 0.434)
O (0.256, 0.256, 0.256)
O (0.740, 0.740, 0.740)



# 3
This record from the Materials Project describes an optimized crystal structure of Na2MgCo2O4. The functional is GGA+U.

Output
**V**: 113.20 Å³ per cell
**Calculated formation energy**: -1.040 eV/atom
**M_tot**: 6.00 μB/f.u.

Lattice parameters (Å, degrees): 10.959 3.442 3.442 60.70 90.00 90.00
Fractional positions:
Na (0.000, 0.000, 0.000)
Na (0.500, 0.006, 0.006)
Mg (0.500, 0.343, 0.343)
Co (0.212, 0.664, 0.664)
Co (0.788, 0.664, 0.664)
O (0.153, 0.330, 0.330)
O (0.393, 0.670, 0.670)
O (0.607, 0.670, 0.670)
O (0.847, 0.330, 0.330)



# 4
This record from the Materials Project describes an optimized crystal structure of Na3MgCo2SbO6. The functional is GGA+U.

Output
**V**: 192.30 Å³ per cell
**Calculated formation energy**: -1.671 eV/atom
**M_tot**: 6.00 μB/f.u.

Lattice parameters (Å, degrees): 6.081 6.097 6.566 76.61 62.92 62.57
Fractional positions:
Na (0.000, 0.000, 0.000)
Na (0.315, 0.455, 0.880)
Na (0.683, 0.697, 0.888)
Mg (0.377, 0.614, 0.384)
Co (0.808, 0.097, 0.571)
Co (0.910, 0.568, 0.389)
Sb (0.372, 0.100, 0.456)
O (0.085, 0.813, 0.659)
O (0.197, 0.645, 0.191)
O (0.430, 0.057, 0.741)
O (0.625, 0.786, 0.272)
O (0.653, 0.249, 0.325)
O (0.753, 0.413, 0.660)



no.,relative energy among the computed polymorphs (eV/atom)
1,0.027
2,0.017
3,0.595
4,0.000

* * * * *

[1]
Computed, not measured: an optimized crystal structure of LiTiVO4 at the PBE+U level of DFT.

Lattice parameters (Å, degrees): 6.030 6.030 10.423 107.89 107.89 59.62
Fractional positions:
Li 0.061 0.061 0.189
Li 0.439 0.439 0.311
Li 0.561 0.561 0.689
Li 0.939 0.939 0.811
Ti 0.000 0.000 0.500
Ti 0.250 0.250 0.750
Ti 0.500 0.500 0.000
Ti 0.750 0.750 0.250
V 0.000 0.500 0.000
V 0.000 0.500 0.500
V 0.500 0.000 0.000
V 0.500 0.000 0.500
O 0.093 0.652 0.378
O 0.126 0.126 0.395
O 0.145 0.145 0.876
O 0.152 0.593 0.878
O 0.348 0.907 0.622
O 0.354 0.354 0.624
O 0.374 0.374 0.105
O 0.407 0.848 0.122
O 0.593 0.152 0.878
O 0.626 0.626 0.895
O 0.646 0.646 0.376
O 0.652 0.093 0.378
O 0.848 0.407 0.122
O 0.855 0.855 0.124
O 0.874 0.874 0.605
O 0.907 0.348 0.622

Properties
ΔE to the lowest computed polymorph = 0 meV/atom
magnetic moment = 0.00 μB per formula unit


[2]
Computed, not measured: an optimized crystal structure of Li2TiV3O8 at the PBE+U level of DFT.

Lattice parameters (Å, degrees): 8.356 8.351 8.359 90.00 90.04 90.00
Fractional positions:
Li 0.001 0.000 0.249
Li 0.246 0.748 0.997
Li 0.254 0.251 0.497
Li 0.499 0.999 0.749
Li 0.501 0.499 0.251
Li 0.746 0.751 0.503
Li 0.754 0.248 0.003
Li 0.999 0.500 0.751
Ti 0.129 0.370 0.121
Ti 0.371 0.629 0.621
Ti 0.629 0.129 0.379
Ti 0.871 0.870 0.879
V 0.118 0.625 0.371
V 0.120 0.881 0.624
V 0.125 0.120 0.867
V 0.374 0.879 0.367
V 0.380 0.118 0.124
V 0.382 0.374 0.871
V 0.618 0.874 0.129
V 0.620 0.618 0.876
V 0.626 0.379 0.633
V 0.875 0.620 0.133
V 0.880 0.381 0.376
V 0.882 0.125 0.629